by David Chan

Last month (September 2023) I went for a free-and-easy holiday to Greece, together with 5 friends. It was an overdue trip as the trip was initially planned for 2020. However, due to the pandemic, we had to delay the plan for 3 years. Due to various reasons, we fixed our traveling dates to between 10 September and 27 September – it was an 18-day/16-night self-planned holiday.
On the evening of Day 6 (15 September 2023), we went sightseeing to one of the vista points in Meteora, located in a small town called Kalambaka. Meteora is a place with a series of rocky mountains on which ancient monasteries were built. At the vista point, the view of the valley was fantastic. And so we stayed there for about 15-30 minutes for sightseeing and photo-taking.
At around 6.30pm, we decided to return to our rental car to go to another vista point, with the intention of catching a better sunset view. It was at that time that we realized that our car’s passenger window was smashed. At that moment, I felt terrified, and horror took over me, because I realized that I left my small bag in between two front car seats before we got out of the car earlier. And, true enough, as I looked past the broken window, my bag was missing! Not only my bag, but also all my valuable possessions in my bag – my Passport, my NRIC, my Driving Licenses (Malaysian & International), my cards and my cash, along with other minor stuff! At that point of time, I was devastated. All that was left in my possession was EUR 30 in my pocket and my handphone (and, of course, my luggage back in the hotel).
We wasted no time, foregoing our opportunity to catch a sunset, and rushed to the local police station to lodge a police report. The lodging process itself was a chore, because the cop and I had to rely on Google Translate to communicate – I spoke English, and he spoke Greek (with a little English which proved not entirely sufficient for communication.
That evening, I was entirely shaken. I took no photos, I spoke little, and I only had a burger for my late dinner. In my mind, I was going through all possible outcomes of what was going to happen to me. My main thoughts were either to deviate my trip to Athens to get my application for a temporary passport processed, or to extend my stay in Greece until I could get my temporary passport – both of which required me to spend way more than the EUR 30 that I was having. On top of that, I had to survive in Greece for the next 12 days with only EUR 30 (but thank God, my travel mates lent me EUR 250 altogether).
On the next day (Day 7; 16 September 2023), we spent the day traveling from Kalambaka to Mati, which was near to Port Rafina for our subsequent ferry trip to Mykonos Island on Day 8 (17 September 2023). The journey took 4-5 hours, depending on whether we moved slowly due to a broken window, or we ignored the wind and drove at speed limit. My co-driver took the initiative to allow me to rest for the first part of the drive, and I took the opportunity to rest my mind. And during this time, I had a wonderful revelation, which I am going to describe here.
First Testimony – Identity, Lost and Found
During this time, I was asking God – All of us* prayed and pleaded for the Blood of Jesus to cover ourselves and our belongings. How can God allow this to happen to me? At that time, God revealed something through my feelings. For the first 6 days, I was so overwhelmed by the fact that this trip was my first European trip. I was too overjoyed to miss home. However, after I lost all my important documents, I started to realize that I have lost all documents that proved my identity as a Malaysian. At that very moment I felt naked and bare, and from my point of view, I lost my identity. And suddenly I missed Malaysia and I wanted to go back to Malaysia very badly. And I wanted to get back to Malaysia just to get all my important documents reissued. What an ironic feeling of me missing my country on my country’s birthday.
However, this is the moment when God spoke. He reminded me that the reason I missed Malaysia was because I knew Malaysia has my citizenship record, and that by coming back to Malaysia, I could easily regain my identity as a citizen of Malaysia. And He allowed my mind to wander as far as my ordeal being similar to one living in sin, sin that made a person think he/she loses his/her identity in God. As I thought I lost my identity as a Malaysian, I would also have thought that I lost my identity the moment I sinned. However, from the Malaysian Government’s point of view, I am still a Malaysian citizen, regardless whether I have my documents of identification. Similarly, from God’s point of view, I am still God’s beloved child, regardless of whether I sinned or not. Thus, if I miss my homeland in Malaysia because I know I could regain my identity as a Malaysian, I would also have missed my eternal Home in Heaven if I sinned, as I should have known that I could regain my identity as a child of God through the Sacrament of Reconciliation. God spoke very loudly through my feelings of desire to go home!
Midway, we decided to stop by a small town of Kamena Vouria for lunch. It was about 12.30pm local time, which was 5.30pm Malaysia time. So, I tuned in to CHS YouTube channel to view the Praise and Worship before Sunset Mass. The Praise and Worship was in English and BM, and when “Doa Kami” was sung, it further led me to wanting to go home even more!
* There were 6 of us, 4 Christians including myself and 2 non-Christians, the 2 non-Christians studied in the Convent so they also helped pray together and responded ‘Amen’ during prayers, grace before meal etc.
Second Testimony – “WAIT”
We finally reached Mati (no, it does not mean “dead” or “death”, but “eye” in Greek) at around 3.30pm. There, we checked in to a wonderful hotel with a great sea view. As we spent some time resting and walking by the seaside, time flew by quickly, and it was 5.30pm; it was time for us to leave for the airport to return the rental car by 7pm.
At that time, I was quite conflicted. I knew there was a sunset Mass in Athens at 6.30pm, but with the tight timing and the return of our rental car, I had to rely on public transport, which was not cheap. At that time, I sensed God telling me to “wait”. At the same time, I was struggling – what if the next day when I arrived at Mykonos, I couldn’t find a Catholic Church (there are way more Greek Orthodox Churches than Catholic Churches there), or if I missed the timing for Mass in Mykonos? However, due to the circumstances (timing and money), I cannot ask much questions. So I just reluctantly “waited” while worrying what if I missed the weekend Mass.
Fast forward to Day 8 (17 September 2023), I arrived at our hotel in Mykonos at around 1.15pm. During the ferry trip, I found out that there is one Catholic Church in Little Venice in Mykonos, and it was about a 15-minute downhill walk from the hotel. So, as I unpacked in the hotel, I told my travel mates that I was not going to rest, but to find out about the Catholic Church. So off I went to Little Venice, and truly, the Catholic Church was there, in the midst of bustling and tourist-filled Little Venice. There I found out that there would be an English Mass at 7pm! So, immediately I praised the Lord!
However, God also reminded me of one lesson. That is, I should go for weekend Mass because I want to meet Jesus, not because I want to fulfil Sunday obligation. Thus, the “wait” message is an extremely important lesson for myself as well as for all of us Catholics. And, if you are reading this, this message is for you as well. 😊
Third Testimony – Perfect Timing
For this testimony, I will have to mention my planned route in Greece:
**Misplaced data records**
┌──
1.
Computed, not measured: an optimized crystal structure of Na14Y4Zn4Si5S7O48 at the PBE level of DFT.

**Energy of formation**: -2.48 eV/atom
**Total energy**: -6.262 eV/atom

Structure (POSCAR):
```
Na14Y4Zn4Si5S7O48
1.0
18.748 0.034 -0.122
-4.672 8.059 -0.010
-0.155 -0.119 22.990
Si Na O Zn Y S
15 42 144 12 12 21
Cartesian
1.830 2.701 1.859
7.850 7.786 20.998
10.734 2.956 9.412
16.726 2.622 13.258
12.544 0.199 13.235
11.302 2.765 1.850
1.249 2.484 17.332
-1.502 7.692 21.009
10.687 2.381 17.207
-1.864 8.005 5.761
1.385 2.876 9.520
5.931 5.430 17.223
3.293 0.304 13.427
6.033 5.053 1.828
7.608 7.972 5.748
9.560 0.033 11.411
3.374 5.207 9.543
4.504 2.461 7.688
13.763 2.572 7.639
4.461 2.606 18.998
1.757 2.167 20.985
0.012 5.373 3.736
7.564 7.789 1.663
10.861 7.984 13.333
-1.623 2.901 17.064
12.360 5.460 1.850
6.136 0.211 20.869
7.748 2.395 9.581
15.255 5.420 20.908
10.956 2.163 20.904
11.139 2.901 5.733
7.529 2.899 17.025
1.147 2.570 13.367
7.772 7.972 17.164
-0.291 5.225 15.323
-3.065 5.205 5.588
9.096 5.310 15.371
5.737 5.393 21.024
17.022 2.343 9.817
3.122 5.408 1.777
10.626 2.526 13.296
12.678 5.188 9.445
1.502 7.874 13.558
3.346 0.085 17.259
0.033 0.090 22.813
15.490 0.193 20.846
1.772 2.782 5.803
2.844 0.383 9.686
12.224 0.476 9.572
9.435 -0.060 22.865
6.527 5.244 5.490
10.474 7.977 5.698
0.080 0.108 11.592
-1.715 7.985 1.661
13.659 2.554 19.075
2.944 4.936 17.318
9.159 5.191 3.662
15.143 4.273 3.061
7.342 5.583 10.580
1.791 5.115 19.811
14.968 1.014 3.057
3.554 4.251 14.512
0.543 3.986 17.476
0.743 7.148 8.410
3.443 6.561 20.949
-1.896 5.507 17.361
5.683 6.499 16.019
12.038 7.883 15.949
10.430 4.160 1.762
12.204 2.552 0.505
8.177 6.890 22.325
8.467 1.667 4.614
6.197 7.884 20.936
14.796 6.191 18.469
0.987 4.118 1.807
10.402 3.906 8.098
5.730 4.271 3.242
-1.012 6.589 5.801
10.082 7.090 1.723
-0.596 6.905 13.351
3.877 1.132 21.103
5.560 1.121 9.666
6.683 7.726 4.410
0.532 1.823 15.995
14.672 6.359 1.855
6.305 2.743 21.107
8.526 7.107 19.671
2.902 7.829 9.388
7.579 5.365 17.318
-3.764 6.393 16.169
-1.865 5.311 1.869
3.821 4.469 12.059
17.684 1.446 20.801
7.290 5.153 8.192
-2.030 5.574 10.645
8.625 3.725 5.811
10.061 1.724 15.831
12.846 4.197 14.378
1.133 3.738 8.140
8.101 1.326 13.326
10.169 7.092 8.183
-1.323 6.792 22.386
0.643 1.382 9.522
-3.177 7.807 20.946
13.362 4.369 5.620
17.474 1.580 6.905
12.894 6.597 20.851
13.255 1.267 5.617
15.115 1.235 17.161
9.978 3.851 17.267
-2.074 5.179 8.269
-0.841 6.903 19.719
-0.929 3.432 22.176
16.914 0.066 1.913
6.521 2.755 14.541
1.851 0.118 7.090
5.466 0.912 2.983
12.802 1.086 11.871
10.273 6.875 17.231
13.118 4.469 11.959
2.756 2.447 0.531
3.495 1.080 11.988
1.132 6.978 10.784
14.863 1.055 9.473
0.716 3.655 10.791
13.099 6.427 13.376
3.709 6.451 13.394
15.027 4.117 9.505
13.245 1.230 21.035
-2.782 7.814 4.404
15.666 2.799 21.080
13.158 0.912 14.583
2.634 7.817 15.980
5.313 3.925 17.000
0.914 6.749 17.268
12.262 7.822 9.279
2.887 2.577 17.202
3.941 1.058 14.728
14.827 4.213 17.124
1.739 5.085 13.206
└──
Day 1 Flight from KL to Athens
Day 1-2 Corinth
Day 2-3 Olympia
Attached: crystal structures.
┌──
# 1
Below is a relaxed Mn3ZnO10 crystal, with properties calculated at the PBE+U level.

Computed properties:
calculated density	3.15	g/cm³
energy with MP2020 corrections	-6.7095	eV per atom
offset from the most stable computed form	5	meV/atom
energy relative to the elements	-1.12	eV per atom
final energy	-6.2371	eV/atom

Geometry as POSCAR:
```
Mn3ZnO10
1.0
3.8805 2.2404 7.8802
-3.8805 2.2404 7.8802
0.0000 -4.4808 7.8802
Mn Zn O
6 2 20
Direct
0.0704 0.7821 0.6481
0.2179 0.3519 0.9296
0.3519 0.9296 0.2179
0.6481 0.0704 0.7821
0.7821 0.6481 0.0704
0.9296 0.2179 0.3519
0.4365 0.4365 0.4365
0.5635 0.5635 0.5635
0.0692 0.6305 0.9233
0.0767 0.9308 0.3695
0.0790 0.5109 0.4126
0.1892 0.5060 0.6702
0.2068 0.2068 0.2068
0.3298 0.8108 0.4941
0.3695 0.0767 0.9308
0.4126 0.0790 0.5109
0.4891 0.5874 0.9210
0.4941 0.3298 0.8108
0.5059 0.6702 0.1892
0.5109 0.4126 0.0790
0.5874 0.9210 0.4891
0.6305 0.9233 0.0692
0.6702 0.1892 0.5059
0.7932 0.7932 0.7932
0.8108 0.4941 0.3298
0.9210 0.4891 0.5874
0.9233 0.0692 0.6305
0.9308 0.3695 0.0767
```



# 2
Below is a relaxed MnZnO2 crystal, with properties calculated at the PBE+U level.

Computed properties:
calculated density	5.36	g/cm³
energy with MP2020 corrections	-6.7186	eV per atom
energy relative to the elements	-1.64	eV per atom
final energy	-5.9581	eV/atom

Geometry as POSCAR:
```
MnZnO2
1.0
7.9407 -1.4963 0.0000
7.9407 1.4963 0.0000
-5.8042 0.0000 7.9383
Mn Zn O
4 4 8
Direct
0.1295 0.1295 0.4526
0.3427 0.3427 0.1759
0.6573 0.6573 0.8241
0.8705 0.8705 0.5474
0.1851 0.1851 0.2088
0.4873 0.4873 0.1134
0.5127 0.5127 0.8866
0.8149 0.8149 0.7912
0.0358 0.0358 0.7709
0.2911 0.2911 0.9127
0.3466 0.3466 0.6725
0.3536 0.3536 0.3982
0.6464 0.6464 0.6018
0.6534 0.6534 0.3275
0.7089 0.7089 0.0873
0.9642 0.9642 0.2291
```



# 3
Below is a relaxed Mn3ZnO10 crystal, with properties calculated at the PBE+U level.

Computed properties:
calculated density	3.31	g/cm³
energy with MP2020 corrections	-6.7148	eV per atom
offset from the most stable computed form	0	meV/atom
energy relative to the elements	-1.13	eV per atom
final energy	-6.2424	eV/atom

Geometry as POSCAR:
```
Mn3ZnO10
1.0
7.7400 0.0000 0.0000
3.8431 6.7201 0.0000
3.5100 1.8577 7.5237
Mn Zn O
6 2 20
Direct
0.0737 0.2866 0.4961
0.2147 0.8576 0.5013
0.3580 0.4295 0.4965
0.6420 0.5705 0.5035
0.7853 0.1424 0.4987
0.9263 0.7134 0.5039
0.4395 0.9386 0.7050
0.5605 0.0614 0.2950
0.0269 0.8510 0.0156
0.0678 0.1302 0.3694
0.0834 0.4372 0.6269
0.1971 0.0174 0.6374
0.2046 0.7042 0.3739
0.2120 0.7367 0.9939
0.3346 0.3086 0.3500
0.3623 0.5848 0.6298
0.4919 0.9254 0.9991
0.4928 0.8291 0.3637
0.5072 0.1709 0.6363
0.5081 0.0746 0.0009
0.6377 0.4152 0.3702
0.6654 0.6914 0.6500
0.7880 0.2633 0.0061
0.7954 0.2958 0.6261
0.8029 0.9826 0.3626
0.9166 0.5628 0.3731
0.9322 0.8698 0.6306
0.9731 0.1490 0.9844
```



# 4
Below is a relaxed MnZnO3 crystal, with properties calculated at the PBE+U level.

Computed properties:
calculated density	5.73	g/cm³
└──
Day 3-5 Zakynthos Island
Day 5-7 Kalambaka
Day 7-8 Mati
Day 8-11 Mykonos Island
• Someone pasted materials data at this point:
********
## CrPt3 (PBE-GGA)

Data for a relaxed structure of CrPt3.

Geometry as POSCAR:
```
CrPt3
1.0
3.922 0.000 0.000
0.000 3.922 0.000
0.000 0.000 3.922
Cr Pt
1 3
Direct
0.000 0.000 0.000
0.000 0.500 0.500
0.500 0.000 0.500
0.500 0.500 0.000
```

## Properties
Its energy relative to the elements is -250 meV per atom. As for the calculated volume: 15.1 A^3/atom.

## CrSbPt (PBE-GGA)

Data for a relaxed structure of CrSbPt.

Geometry as POSCAR:
```
CrSbPt
1.0
6.422 0.000 0.000
0.000 6.422 0.000
0.000 0.000 6.422
Cr Sb Pt
4 4 4
Direct
0.009 0.009 0.009
0.491 0.991 0.509
0.509 0.491 0.991
0.991 0.509 0.491
0.237 0.737 0.763
0.263 0.263 0.263
0.737 0.763 0.237
0.763 0.237 0.737
0.133 0.867 0.367
0.367 0.133 0.867
0.633 0.633 0.633
0.867 0.367 0.133
```

## Properties
Its total moment is 0.98 μB per atom. Its energy relative to the elements is 242 meV per atom. As for the calculated volume: 22.1 A^3/atom.

## PuCr2Si2 (PBE-GGA)

Data for a relaxed structure of PuCr2Si2.

Geometry as POSCAR:
```
PuCr2Si2
1.0
3.689 0.000 0.000
0.000 3.689 0.000
0.000 0.000 11.016
Pu Cr Si
2 4 4
Direct
0.000 0.000 0.000
0.500 0.500 0.500
0.000 0.500 0.250
0.000 0.500 0.750
0.500 0.000 0.250
0.500 0.000 0.750
0.000 0.000 0.391
0.000 0.000 0.609
0.500 0.500 0.109
0.500 0.500 0.891
```

## Properties
Its total moment is 0.12 μB per atom. Its energy relative to the elements is 77 meV per atom. As for the calculated volume: 15.0 A^3/atom.

## RbCr2S4 (PBE-GGA)

Data for a relaxed structure of RbCr2S4.

Geometry as POSCAR:
```
RbCr2S4
1.0
0.000 5.461 5.461
5.461 0.000 5.461
5.461 5.461 0.000
Rb Cr S
2 4 8
Direct
0.125 0.125 0.125
0.875 0.875 0.875
0.000 0.500 0.500
0.500 0.000 0.500
0.500 0.500 0.000
0.500 0.500 0.500
0.278 0.278 0.278
0.278 0.278 0.665
0.278 0.665 0.278
0.335 0.722 0.722
0.665 0.278 0.278
0.722 0.335 0.722
0.722 0.722 0.335
0.722 0.722 0.722
```

## Properties
Its total moment is 0.71 μB per atom. Its energy relative to the elements is -815 meV per atom. As for the calculated volume: 23.3 A^3/atom.

## RbCr2S4 (PBE-GGA)

Data for a relaxed structure of RbCr2S4.

Geometry as POSCAR:
```
RbCr2S4
1.0
13.180 0.000 0.000
0.000 3.454 0.000
0.000 0.000 14.847
Rb Cr S
4 8 16
Direct
0.112 0.250 0.115
0.388 0.750 0.615
0.612 0.250 0.385
0.888 0.750 0.885
0.091 0.750 0.445
0.221 0.750 0.858
0.279 0.250 0.358
0.409 0.250 0.945
0.591 0.750 0.055
0.721 0.750 0.642
0.779 0.250 0.142
0.909 0.250 0.555
0.022 0.750 0.592
0.106 0.250 0.868
0.171 0.750 0.299
0.209 0.250 0.494
0.291 0.750 0.994
0.329 0.250 0.799
0.394 0.750 0.368
0.478 0.250 0.092
0.522 0.750 0.908
0.606 0.250 0.632
0.671 0.750 0.201
0.709 0.250 0.006
0.791 0.750 0.506
0.829 0.250 0.701
0.894 0.750 0.132
0.978 0.250 0.408
```

## Properties
Its total moment is 0.71 μB per atom. Its energy relative to the elements is -1041 meV per atom. As for the calculated volume: 24.1 A^3/atom.

## RbCr2S4 (PBE-GGA)

Data for a relaxed structure of RbCr2S4.

Geometry as POSCAR:
```
RbCr2S4
1.0
6.631 0.000 0.000
0.058 8.731 0.000
********
Day 11-14 Santorini Islands
Day 14-17 Athens
Day 17-18 Flight from Athens back to KL

Planned Route

Route from Day 6 to Day 17
As mentioned above, I lost my belongings on Day 6. It was a Friday night, so there would be no way for me to contact the Consulate General Office for the application of my temporary passport over the weekend. So, the only thing I could do was wait. While waiting, I made a decision to follow our planned route without deviation, because even if I deviated my trip to Athens, I could do nothing until Day 9 (Monday, 18 September 2023).
On Day 9 (Monday, 18 September 2023), I managed to contact the Administrator to the Consulate General to enquire on the process for the application of my temporary passport. Throughout the conversation, I got to know that I was allowed to submit all my documents and forms via PDF to a WhatsApp number (which was actually the handphone number of the Administrator). To cut the story short, here’s the timeline:
Day 9 (Monday, 18 September 2023) – Application of my temporary passport, with wire transfer for the payment initiated
Day 11 (Wednesday, 20 September 2023) – Wire transfer received at Consulate General’s Bank Account, and application was submitted to Malaysian Embassy in Bucharest, Romania
Day 13 (Friday, 22 September 2023) – Temporary Passport processing completed and delivered via courier service from Bucharest to Athens
Day 14 (Saturday, 23 September 2023) – I flew from Santorini to Athens
Day 16 (Monday, 25 September 2023) – I received my temporary passport
Day 17 (Tuesday, 26 September 2023) – I flew off from Athens Airport heading back to KL
Throughout this journey, I really felt God guiding me along the way, and God indeed protected what was left of me with His Precious Blood, that I never had to spend a fortune to deviate from my planned trip. God also blessed me with the right timing, and I received the temporary passport right on time. In addition, God also allowed me to spend my birthday in Santorini – truly, a dream come true.
Throughout this trip, God worked miraculously. Even though the temporal outcome might not be what I desired, and that I felt anxious over the ordeal, God clearly spoke through all circumstances, affirming me of my most favourite Bible verse – Genesis 50:20, which says: Even though you intended to do harm to me, God intended it for good, in order to preserve a numerous people, as he is doing today. Or, as interpreted in the song “See A Victory”: You take what the enemy meant for evil, and You turn it for good. I am definitely seeing a huge victory that God has over my life. Amen.
- In Greece, I learnt quite a number of Greek words that were quite useful. The first one was EVCHARISTO (means “thank you”), and the second one was S’AGAPO (means “I love you”). So, as a Catholic, I am finding the words Eucharist and Agape carry so much meaning and make so much sense!
- I reapplied for my NRIC, my Malaysian Driving License and my Passport – and I got all of them back within 2 weeks after I returned to Malaysia. My identity was restored. Praise the Lord!